New Naira Notes Trafficking And Consumers’ Plight

**Inserted here: crystal structures**
┌──
Record 1
MgIn3Ni2 | PBE | relaxed

a b c (Å): 3.0468 11.9672 6.3853
angles (deg): 90.00 90.00 90.00
Last column: nearest neighbours and their distance in Å.
Space group Amm2 (No. 38)
One atom of each set of equivalent atoms:
Mg: 0.0000 0.0000 0.0000  2 Ni 2.62
In: 0.5000 0.0000 0.5860  4 Ni 2.68
In: 0.5000 0.2318 0.0562  4 Ni 2.66-2.68
Ni: 0.0000 0.1266 0.3341  1 Mg 2.62, 6 In 2.66-2.68

Properties
ΔH_f (0 K) in eV per atom: -0.0586
Crystal system: orthorhombic

***

Record 2
Mg8InNi2 | PBE | relaxed

a b c (Å): 4.4295 6.9690 7.8844
angles (deg): 112.30 106.13 90.15
Last column: nearest neighbours and their distance in Å.
Space group P-1 (No. 2)
One atom of each set of equivalent atoms:
Mg: 0.0358 0.2346 0.0722  1 Ni 2.61
Mg: 0.1784 0.7682 0.3571  3 Ni 2.71-2.85, 4 Mg 2.95-3.01
Mg: 0.3180 0.5663 0.6360  3 Ni 2.65-2.94, 4 Mg 2.91-2.97
Mg: 0.3865 0.0263 0.7731  2 Ni 2.64, 2 Mg 2.95
In: 0.5000 0.5000 0.0000  8 Mg 2.97-3.07
Ni: 0.1947 0.1700 0.3893  7 Mg 2.61-2.85

Properties
ΔE to the lowest computed polymorph in eV per atom: 0.000
ΔH_f (0 K) in eV per atom: -0.0868
Crystal system: triclinic

***

Record 3
MgInNi | PBE | relaxed

a b c (Å): 5.2134 4.3909 5.3500
angles (deg): 90.00 108.05 90.00
Last column: nearest neighbours and their distance in Å.
Space group P2_1/m (No. 11)
One atom of each set of equivalent atoms:
Mg: 0.1111 0.2500 0.3823  4 Ni 2.63-2.72, 2 Mg 2.94
In: 0.3897 0.7500 0.1291  4 Ni 2.57-2.73
Ni: 0.1093 0.2500 0.8900  4 In 2.57-2.73, 4 Mg 2.63-2.72

Properties
ΔH_f (0 K) in eV per atom: -0.1428
Crystal system: monoclinic

***

Record 4
Mg3In4Ni2 | PBE | relaxed

a b c (Å): 10.9695 4.1548 8.2583
angles (deg): 90.00 91.08 90.00
Last column: nearest neighbours and their distance in Å.
Space group C2/m (No. 12)
One atom of each set of equivalent atoms:
Mg: 0.0000 0.0000 0.0000  6 In 3.05-3.11
Mg: 0.1246 0.5000 0.7028  3 Ni 2.71-2.75
In: 0.0895 0.0000 0.3595  3 Ni 2.63-2.68
In: 0.1893 0.5000 0.1038  1 Ni 2.61
Ni: 0.2384 0.5000 0.4143  2 Ni 2.52, 4 In 2.61-2.68, 3 Mg 2.71-2.75

Properties
ΔH_f (0 K) in eV per atom: -0.0927
Crystal system: monoclinic

***

Record 5
MgInNi5 | PBE | relaxed

a b c (Å): 3.5938 3.5938 7.8408
angles (deg): 90.00 90.00 90.00
Last column: nearest neighbours and their distance in Å.
Space group P4/mmm (No. 123)
One atom of each set of equivalent atoms:
Mg: 0.0000 0.0000 0.0000  8 Ni 2.68
In: 0.5000 0.5000 0.5000  12 Ni 2.54-2.64
Ni: 0.0000 0.0000 0.5000  4 In 2.54, 8 Ni 2.64
Ni: 0.0000 0.5000 0.2538  6 Ni 2.54-2.64, 2 In 2.64, 2 Mg 2.68

Properties
ΔH_f (0 K) in eV per atom: 0.1532
Crystal system: tetragonal

***

Record 6
MgIn2Ni2 | PBE | relaxed

a b c (Å): 3.3845 3.3845 16.8363
angles (deg): 90.00 90.00 90.00
Last column: nearest neighbours and their distance in Å.
Space group I4/mmm (No. 139)
One atom of each set of equivalent atoms:
Mg: 0.0000 0.0000 0.0000  8 In 3.21, 4 Mg 3.38
In: 0.0000 0.0000 0.3732  4 Ni 2.68
Ni: 0.0000 0.5000 0.2500  4 Ni 2.39, 4 In 2.68

Properties
ΔH_f (0 K) in eV per atom: 0.0671
└──
**Here the entry continues**


The selling of new, crisp Naira notes persists in the country, albeit in defiance of the law. The act is regarded an abuse of the Naira, and so is spraying, writing, or stepping on money.

They are punishable offences for which a violator could earn a fine, jail term, or both. The penalties for the violation regardless, peddlers of new Naira notes have remained defiant. To them, the Naira serves no more than being a means of payment, and measure of value. Contrary to this, the Naira serves much more purposes. It is a symbol of unity, and, a national identity. Given its acceptability to all Nigerians, the Naira serves a unifying role.

This is why selling new Naira notes and other forms of currency abuse is an ignorant and unpatriotic act. The paradox, however, is the rather accepted societal trend of Naira spraying at social events. The trend has endured for decades and, now, done more brazenly. Nigerians of different statuses and positions impudently flaunt this illegality. The penalties for offenders are stated under Section 21 (3) and (4), of Central Bank of Nigeria, (CBN) Act (2007). Despite, the selling and spraying of Naira have remained unfading.   The regulatory CBN is helpless in curbing the illegality, without admitting so. The first challenge for the CBN is purging itself of colluding staff and bankers from whom the Naira sellers get their supply. The insider involvement is a critical factor, since the CBN circulates cash, including new notes, through commercial banks.

It is ironic that the same commercial banks hardly give new notes to their customers, especially those of smaller value such as N50, N100, and N200. The easiest place to get such is through the black market, and for outrageous fees.

To exchange N10, 000 old notes for newer N100, N200, or N500 notes, the seller charges a commission of N3, 000. Where there is a demand for large amount of money, the seller resort to the use of Point of Sales, (PoS) device.

In place of rare new banknotes in circulation, is the deluge of dirty, worn, and mutilated ones.

In April 2019, the CBN launched the Clean Note Policy. The policy, the bank said, was “to improve the physical appearance and lifespan of the banknotes in circulation.” Making a clear distinction of a fit and freely acceptable currency banknotes, the CBN, stated, “A currency banknote shall be considered unfit for circulation when it is badly soiled/contaminated and/or with writings; or It presents a limp or rag-like appearance with ‘dog ears’.”

Pitiably, consumers have had to contend with the flood of mutilated banknotes. Pathetic is the fact that such worn currency notes are potential germs carrier, thereby hazardous to public health. Besides, they are also a source between sellers and buyers, who might reject such for payment.